-- begin --
[1]
50
Properties=species:S:1:pos:R:3:forces:R:3 method="wB97M-V/def2-TZVPD" charge=0 de_lowest_kcal_mol=9.1 lumo_ev="-0.986 / -0.525" homo_lumo_gap_ev="8.08 / 8.26" s_squared=0.756 spin_multiplicity=2
Cr 0.00534 0.05506 -0.41445 0.08 0.12 0.02
N -0.02866 -0.00136 1.71914 0.01 -0.03 0.02
C 0.82392 0.85307 2.57108 -0.04 0.02 -0.06
C 2.25356 0.43773 2.28578 0.00 0.01 0.06
O 2.59374 -0.71028 2.46567 -0.01 -0.02 0.00
O 3.01142 1.40158 1.80851 -0.02 0.04 -0.02
H -1.00226 0.03778 2.00497 -0.01 0.00 0.01
H 0.26376 -0.96910 1.86693 0.00 0.00 0.00
H 0.61302 0.68039 3.62800 0.00 -0.01 0.01
H 0.66901 1.90140 2.33643 -0.01 0.01 -0.01
C -3.40505 -3.61285 -1.42286 0.01 0.01 -0.01
C -2.32933 -2.53635 -1.36067 0.01 -0.01 0.01
O -1.80376 -2.41222 -2.66800 -0.02 0.00 0.00
P -3.03293 -0.92749 -0.81294 -0.02 -0.03 0.01
O -4.30445 -1.19469 0.09204 0.00 0.01 -0.01
O -3.69109 -0.21693 -2.04177 0.01 0.01 0.01
O -2.03375 -0.08210 -0.06603 0.04 0.00 -0.01
P -0.99610 -2.98472 -0.17636 0.07 0.05 -0.02
O -1.75970 -2.67612 1.25209 -0.01 0.01 0.01
O -0.58562 -4.39087 -0.22284 -0.01 -0.01 0.00
O 0.03684 -1.87267 -0.35381 -0.04 -0.13 0.03
H -4.19701 -3.31386 -2.10993 0.00 0.00 0.00
H -3.84015 -3.81357 -0.44490 0.00 0.00 0.00
H -2.93460 -4.52317 -1.79018 0.00 0.00 0.00
H -1.01744 -1.83984 -2.67387 0.00 -0.01 0.01
H -4.04666 -1.62932 0.91761 0.00 0.00 0.00
H -2.98903 0.12559 -2.63686 0.00 0.00 -0.01
H -1.78464 -3.50849 1.74301 0.00 0.00 0.00
N 4.52857 -0.26645 0.32777 -0.02 0.02 -0.01
C 4.11600 -0.61453 -1.03529 0.00 -0.02 0.00
C 2.61156 -0.63353 -1.29133 0.03 -0.02 -0.06
O 2.19099 -1.19044 -2.27610 -0.01 0.01 0.02
O 1.88123 0.04165 -0.42303 -0.08 0.06 0.02
H 5.54005 -0.22392 0.37307 0.00 0.00 0.00
H 4.22938 -0.98939 0.97731 0.00 0.01 0.01
H 3.72781 0.95012 1.24977 0.07 -0.05 -0.01
H 4.48862 -1.58735 -1.36222 0.00 0.00 0.00
H 4.52252 0.12897 -1.72493 -0.01 0.01 0.01
I 2.44023 2.81403 -1.80854 0.01 -0.01 -0.01
C 0.85851 3.18696 -0.50547 -0.02 0.02 0.00
C 0.73122 4.51712 -0.10830 0.01 0.00 0.00
C -0.35582 4.90106 0.64638 -0.01 0.01 0.00
C -1.30723 3.94511 0.96873 0.01 0.00 0.00
C -1.09625 2.64941 0.55705 0.02 0.00 0.03
N -0.01719 2.24833 -0.14426 -0.02 -0.04 -0.02
H 1.48134 5.23087 -0.41328 0.00 0.00 0.00
H -0.46838 5.93096 0.95814 0.00 0.00 0.00
H -2.19858 4.19100 1.52761 0.00 0.00 0.00
H -1.81861 1.87746 0.77695 0.00 0.00 0.01
Br -0.57433 0.61595 -2.76581 -0.01 -0.01 -0.01



[2]
37
Properties=species:S:1:pos:R:3:forces:R:3 method="wB97M-V/def2-TZVPD" charge=-2 lumo_ev=4.698 homo_lumo_gap_ev=3.57 spin_multiplicity=1
C -1.23674 1.02529 1.01283 -0.26 -0.07 -1.53
C -1.99745 0.08946 0.26336 0.94 1.16 -0.52
C -1.71302 0.30384 -1.09822 0.71 0.92 0.90
C -2.97637 -0.88054 0.76987 -0.29 -0.60 0.12
C -0.81145 1.39023 -1.21697 -0.66 -0.53 1.55
C -0.50951 1.82904 0.09426 -0.91 -0.90 -0.23
C 0.36494 2.95113 0.44895 0.28 0.16 0.00
C -1.34135 1.23482 2.46011 0.17 -0.05 0.41
C -2.17166 -0.52797 -2.19859 -0.93 -0.66 -0.73
C -0.29439 1.95750 -2.46860 -0.01 0.22 -0.02
Hf 1.84623 -1.36313 0.46751 -1.74 1.26 -0.80
Cl -0.65469 -3.11513 -0.72121 0.85 -0.63 -0.16
Cl 0.26138 -2.02555 2.09709 0.09 -0.15 1.17
O 1.38121 -0.71499 -1.32950 1.35 -0.11 -0.28
H -2.95827 -0.85838 1.87016 -0.22 -0.30 -0.20
H -2.71993 -1.89450 0.39761 -0.30 0.32 0.37
H -3.99630 -0.61499 0.41940 0.13 -0.24 0.24
H -2.19169 -1.59727 -1.93976 0.18 0.32 -0.18
H -1.55268 -0.37518 -3.08289 0.10 -0.23 -0.19
H -3.19454 -0.25643 -2.49154 -0.31 -0.01 -0.27
H -0.15480 1.14990 -3.19484 0.29 0.24 -0.26
H 0.63414 2.50848 -2.26653 0.05 -0.16 -0.37
H -1.02221 2.67356 -2.87480 0.14 0.11 -0.40
H 1.18622 2.98133 -0.26673 0.28 0.37 -0.03
H 0.80094 2.76774 1.42990 0.14 0.28 0.19
H -0.16388 3.91777 0.44291 0.22 0.18 0.10
H -1.43311 0.26575 2.94789 -0.16 -0.03 0.38
H -2.18807 1.88068 2.74304 -0.01 -0.03 0.20
H -0.42279 1.68769 2.82834 0.12 0.18 0.31
H 1.69086 -0.57981 -2.23774 -0.43 -0.09 0.76
O 2.48457 0.33082 1.32348 0.18 -0.64 -0.53
H 2.83421 0.66164 2.14483 -0.09 -0.10 0.12
C 4.50125 -3.41259 0.65574 -1.14 0.95 -0.33
-- stop --
Print the material above verbatim.
[1]
50
Properties=species:S:1:pos:R:3:forces:R:3 method="wB97M-V/def2-TZVPD" charge=0 de_lowest_kcal_mol=9.1 lumo_ev="-0.986 / -0.525" homo_lumo_gap_ev="8.08 / 8.26" s_squared=0.756 spin_multiplicity=2
Cr 0.00534 0.05506 -0.41445 0.08 0.12 0.02
N -0.02866 -0.00136 1.71914 0.01 -0.03 0.02
C 0.82392 0.85307 2.57108 -0.04 0.02 -0.06
C 2.25356 0.43773 2.28578 0.00 0.01 0.06
O 2.59374 -0.71028 2.46567 -0.01 -0.02 0.00
O 3.01142 1.40158 1.80851 -0.02 0.04 -0.02
H -1.00226 0.03778 2.00497 -0.01 0.00 0.01
H 0.26376 -0.96910 1.86693 0.00 0.00 0.00
H 0.61302 0.68039 3.62800 0.00 -0.01 0.01
H 0.66901 1.90140 2.33643 -0.01 0.01 -0.01
C -3.40505 -3.61285 -1.42286 0.01 0.01 -0.01
C -2.32933 -2.53635 -1.36067 0.01 -0.01 0.01
O -1.80376 -2.41222 -2.66800 -0.02 0.00 0.00
P -3.03293 -0.92749 -0.81294 -0.02 -0.03 0.01
O -4.30445 -1.19469 0.09204 0.00 0.01 -0.01
O -3.69109 -0.21693 -2.04177 0.01 0.01 0.01
O -2.03375 -0.08210 -0.06603 0.04 0.00 -0.01
P -0.99610 -2.98472 -0.17636 0.07 0.05 -0.02
O -1.75970 -2.67612 1.25209 -0.01 0.01 0.01
O -0.58562 -4.39087 -0.22284 -0.01 -0.01 0.00
O 0.03684 -1.87267 -0.35381 -0.04 -0.13 0.03
H -4.19701 -3.31386 -2.10993 0.00 0.00 0.00
H -3.84015 -3.81357 -0.44490 0.00 0.00 0.00
H -2.93460 -4.52317 -1.79018 0.00 0.00 0.00
H -1.01744 -1.83984 -2.67387 0.00 -0.01 0.01
H -4.04666 -1.62932 0.91761 0.00 0.00 0.00
H -2.98903 0.12559 -2.63686 0.00 0.00 -0.01
H -1.78464 -3.50849 1.74301 0.00 0.00 0.00
N 4.52857 -0.26645 0.32777 -0.02 0.02 -0.01
C 4.11600 -0.61453 -1.03529 0.00 -0.02 0.00
C 2.61156 -0.63353 -1.29133 0.03 -0.02 -0.06
O 2.19099 -1.19044 -2.27610 -0.01 0.01 0.02
O 1.88123 0.04165 -0.42303 -0.08 0.06 0.02
H 5.54005 -0.22392 0.37307 0.00 0.00 0.00
H 4.22938 -0.98939 0.97731 0.00 0.01 0.01
H 3.72781 0.95012 1.24977 0.07 -0.05 -0.01
H 4.48862 -1.58735 -1.36222 0.00 0.00 0.00
H 4.52252 0.12897 -1.72493 -0.01 0.01 0.01
I 2.44023 2.81403 -1.80854 0.01 -0.01 -0.01
C 0.85851 3.18696 -0.50547 -0.02 0.02 0.00
C 0.73122 4.51712 -0.10830 0.01 0.00 0.00
C -0.35582 4.90106 0.64638 -0.01 0.01 0.00
C -1.30723 3.94511 0.96873 0.01 0.00 0.00
C -1.09625 2.64941 0.55705 0.02 0.00 0.03
N -0.01719 2.24833 -0.14426 -0.02 -0.04 -0.02
H 1.48134 5.23087 -0.41328 0.00 0.00 0.00
H -0.46838 5.93096 0.95814 0.00 0.00 0.00
H -2.19858 4.19100 1.52761 0.00 0.00 0.00
H -1.81861 1.87746 0.77695 0.00 0.00 0.01
Br -0.57433 0.61595 -2.76581 -0.01 -0.01 -0.01



[2]
37
Properties=species:S:1:pos:R:3:forces:R:3 method="wB97M-V/def2-TZVPD" charge=-2 lumo_ev=4.698 homo_lumo_gap_ev=3.57 spin_multiplicity=1
C -1.23674 1.02529 1.01283 -0.26 -0.07 -1.53
C -1.99745 0.08946 0.26336 0.94 1.16 -0.52
C -1.71302 0.30384 -1.09822 0.71 0.92 0.90
C -2.97637 -0.88054 0.76987 -0.29 -0.60 0.12
C -0.81145 1.39023 -1.21697 -0.66 -0.53 1.55
C -0.50951 1.82904 0.09426 -0.91 -0.90 -0.23
C 0.36494 2.95113 0.44895 0.28 0.16 0.00
C -1.34135 1.23482 2.46011 0.17 -0.05 0.41
C -2.17166 -0.52797 -2.19859 -0.93 -0.66 -0.73
C -0.29439 1.95750 -2.46860 -0.01 0.22 -0.02
Hf 1.84623 -1.36313 0.46751 -1.74 1.26 -0.80
Cl -0.65469 -3.11513 -0.72121 0.85 -0.63 -0.16
Cl 0.26138 -2.02555 2.09709 0.09 -0.15 1.17
O 1.38121 -0.71499 -1.32950 1.35 -0.11 -0.28
H -2.95827 -0.85838 1.87016 -0.22 -0.30 -0.20
H -2.71993 -1.89450 0.39761 -0.30 0.32 0.37
H -3.99630 -0.61499 0.41940 0.13 -0.24 0.24
H -2.19169 -1.59727 -1.93976 0.18 0.32 -0.18
H -1.55268 -0.37518 -3.08289 0.10 -0.23 -0.19
H -3.19454 -0.25643 -2.49154 -0.31 -0.01 -0.27
H -0.15480 1.14990 -3.19484 0.29 0.24 -0.26
H 0.63414 2.50848 -2.26653 0.05 -0.16 -0.37
H -1.02221 2.67356 -2.87480 0.14 0.11 -0.40
H 1.18622 2.98133 -0.26673 0.28 0.37 -0.03
H 0.80094 2.76774 1.42990 0.14 0.28 0.19
H -0.16388 3.91777 0.44291 0.22 0.18 0.10
H -1.43311 0.26575 2.94789 -0.16 -0.03 0.38
H -2.18807 1.88068 2.74304 -0.01 -0.03 0.20
H -0.42279 1.68769 2.82834 0.12 0.18 0.31
H 1.69086 -0.57981 -2.23774 -0.43 -0.09 0.76
O 2.48457 0.33082 1.32348 0.18 -0.64 -0.53
H 2.83421 0.66164 2.14483 -0.09 -0.10 0.12
C 4.50125 -3.41259 0.65574 -1.14 0.95 -0.33